The University has liability insurance protection to cover damages caused by, or in some cases to, leased vehicles used for official University business. This liability protection is provided to University employees or authorized agents (e.g. students, volunteers) through the Commonwealth of Virginia's Division of Risk Management for third party damages other than to leased vehicles. Damage to leased vehicles will be covered through a combination of self-insurance and a contracted vendor's Collision Damage Waiver. The department having responsibility for the vehicle must pay the first $1,000 of loss for each claim under the University's self-insurance program. Use of a credit card providing coverage for damages to rental vehicles, such as the University Travel and Expense card, when used to book and pay for vehicle rentals is a potential source of coverage for rental vehicle damage including the $1,000 departmental deductible. However, use of a credit card to pay for damage to a rental vehicle will jeopardize coverage through the University's Insurance Program. When employees lease vehicles in a foreign country (excluding Canada), we strongly recommend the purchase of liability and physical damage coverage from the leasing agency.
# NaSi

NaSi after structural relaxation (meta-GGA r2SCAN, the Materials Project).

Structure (POSCAR):
```
NaSi
1.0
-3.6078 -2.4794 -4.8762
-1.7462 -6.6524 0.2714
-9.8247 0.4418 2.6413
Na Si
8 8
Cartesian
-11.5719 -2.7727 0.3388
-3.6069 -5.9172 -2.3023
-13.4696 -7.6886 -2.3453
-8.3234 -2.8355 -2.0327
-1.7092 -1.0013 0.3818
-5.2168 -2.8877 -0.4670
-9.9620 -5.8022 -1.4965
-6.8554 -5.8544 0.0692
-9.3603 -0.9490 0.4605
-2.7762 -4.4958 0.2496
-5.8185 -7.7409 -2.4240
-6.8440 -5.5428 -2.7829
-12.4025 -4.1941 -2.2131
-8.3347 -3.1472 0.8194
-8.1071 -7.5652 -3.0518
-7.0717 -1.1248 1.0883
```

Properties
The space group is C2/c (15). The total energy is -6.238 eV per atom. The crystal system is monoclinic.

----------

VASP calculation (PBE-GGA) on an optimized crystal structure of NbMoS3.

a b c (Å): 6.2691 3.2821 8.8001
angles (deg): 90.00 104.18 90.00
With the nearest neighbours (Å) after each atom.
Space group P2_1/m (No. 11)
Symmetry-distinct sites (fractional):
Nb: 0.1910 0.2500 0.4936 [2 per cell]  5 S 2.45-2.59
Mo: 0.3870 0.2500 0.8764 [2 per cell]  4 S 2.35-2.57
S: 0.0069 0.7500 0.2977 [2 per cell]  3 Nb 2.45-2.46, 1 Mo 2.57
S: 0.2316 0.7500 0.0141 [2 per cell]  3 Mo 2.35-2.39
S: 0.4707 0.7500 0.6641 [2 per cell]  3 Nb 2.59-2.80, 2 Mo 2.63

Energy relative to the elements: -1183 meV/atom
MP2020-corrected energy: -7.855 eV per atom
Volume: 17.6 Å³ per atom
Size of the total moment: 0.00 μB per formula unit

----------

A relaxed ZnAg2O4 crystal. Source: Materials Project, functional PBE.

Structure (POSCAR):
```
ZnAg2O4
1.0
-3.215 3.215 4.358
3.215 -3.215 4.358
3.215 3.215 -4.358
Zn Ag O
2 4 8
Cartesian
0.000 1.607 1.089 Zn
3.215 1.607 3.268 Zn
1.607 1.607 -2.179 Ag
1.607 -1.607 2.179 Ag
3.215 0.000 0.000 Ag
0.000 0.000 4.358 Ag
1.542 1.202 -0.146 O
2.810 0.065 2.033 O
2.810 3.280 -2.033 O
1.673 -1.202 4.212 O
1.542 4.417 0.146 O
0.405 -0.065 6.391 O
0.405 3.149 2.325 O
1.673 2.012 4.504 O
```

Values from the calculation:
The energy above the most stable polymorph in this dataset comes out at 51.5 meV per atom. The calculated volume is 12.87 A^3/atom. As for the energy relative to the elements: -0.66 eV/atom. Its symmetry is I4_1/a, No. 88. Its total magnetization is 0.000 μB/atom.

***

A relaxed ZnAg2O4 crystal. Source: Materials Project, functional PBE.

Structure (POSCAR):
```
ZnAg2O4
1.0
1.549 -5.299 0.000
1.549 5.299 0.000
0.000 0.000 9.972
Zn Ag O
2 4 8
Cartesian
1.549 4.137 7.479 Zn
1.549 -4.137 2.493 Zn
1.549 1.384 5.704 Ag
1.549 1.384 9.253 Ag
1.549 -1.384 0.718 Ag
1.549 -1.384 4.268 Ag
0.000 0.000 0.000 O
0.000 0.000 4.986 O
1.549 2.255 1.198 O
1.549 2.255 3.788 O
1.549 0.258 7.479 O
1.549 -0.258 2.493 O
1.549 -2.255 6.184 O
1.549 -2.255 8.774 O
```

Values from the calculation:
Vehicles leased for 30 days or less are covered up to $2 million per claim in excess of the leased vehicle's primary insurance. If there is no primary insurance, the State's program provides primary coverage when a leased vehicle is involved in an accident due to employee negligence.
When accepting, and also upon returning the vehicle it is strongly recommended that renters inspect the vehicle and note any damages in the agreement documents in order to avoid being held responsible for pre-existing damages. The rental agreement documents should be given to your department and retained in the event Property & Liability Risk Management may need them to manage a claim related to the rental vehicle.
In order to preclude your department's claim from being denied for reimbursement by the State adhering to the following guidelines is strongly recommended:
- If involved in an accident in a rental vehicle immediately contact the police and your supervisor. If the police deem it not necessary to take a report, you should get their name, badge number, and phone number.
- Notify the leasing agency of the accident.
- Complete an Automobile Loss Notice. The completed Auto Loss Notice may be faxed to Property & Liability Risk Management at (434) 982-2635. The completed Auto Loss Notice should be submitted to Property & Liability Risk Management within 48 hours. If you will not be able to submit the Auto Loss Notice to Property & Liability Risk Management within the 48 hours, please call Property & Liability Risk Management at (434) 924-3055.
- If at all possible DO NOT return a vehicle to the rental agency after hours.